Activity =
Could you type out the notes further below from the first line to the one with "_cell_angle_beta 104.86" character by character?

Given =
********
Material: SnGe2O6
Method: DFT, PBE-GGA
State: relaxed

```
data_SnGe2O6
_space_group_name_H-M_alt 'P 1 21/c 1'
_space_group_IT_number 14
_cell_length_a 10.017
_cell_length_b 9.161
_cell_length_c 5.632
_cell_angle_alpha 90.00
_cell_angle_beta 104.86
_cell_angle_gamma 90.00
loop_
_space_group_symop_operation_xyz
'x,y,z'
'-x,-y,-z'
'-x,y+1/2,-z+1/2'
'x,-y+1/2,z+1/2'
loop_
_atom_site_label
_atom_site_fract_x
_atom_site_fract_y
_atom_site_fract_z
_atom_site_occupancy
Sn1 0.249 0.145 0.493 1
Ge1 0.051 0.665 0.820 1
********

Written answer =
Material: SnGe2O6
Method: DFT, PBE-GGA
State: relaxed

```
data_SnGe2O6
_space_group_name_H-M_alt 'P 1 21/c 1'
_space_group_IT_number 14
_cell_length_a 10.017
_cell_length_b 9.161
_cell_length_c 5.632
_cell_angle_alpha 90.00
_cell_angle_beta 104.86